CH 5

I shove the microphone back into the stand and jog offstage, colliding shoulders with José. He shoves me away hard and I nearly trip over a tangle of chords. If I fell, no one would possibly know. The entire club is pitch dark and the audience is chanting encore so loud that I could fall into the drum set and not even be heard. I keep a mental note to piss in his coffee pot.

As you may begin to notice, I'm not liked too well by the other members of 'my' band. Blake can put up with me, but the whole 'friendly' thing we have onstage is all an act. José would much rather beat the living shit out of me than have to spend an hour with me conscious instead. The drummer, Bee, (short for Beethoven), has expressed a great disinterest in me, and the rhythm guitar player, Malcolm, claims to hate me for my bitchy-ness as well, despite the fact that he's even more feminine than me, so much that he couldn't play tonight because of a 'fever'.

We all feel our way around a corner until we see the floor illuminated by rope lights. The manager is standing there, his arms folded. He congratulates his nephew and even goes as far as to kiss him on the forehead, beads of sweat and all. I look away, stifling a gag. He gives José a nod of approval and pats Blake lovingly on the back. When he gets to me, he seizes my bicep and yanks me toward him.

"Nice fucking show." He yells sarcastically, over the crowd. "But I'm currently screwed. The owner's pissed because you threw that water bottle into the audience."

I blink, half expecting him to be fucking with me. "I could've got some warning that it's a frickin kid's club! And besides, they asked for it! They loved it!" I argue. My voice can still penetrate over the crowd perfectly, even though I've been singing nonstop for over an hour.

He drags me farther backstage, until we're in full light and the crowd is behind several brick walls.

"I think the prick has got a problem with the band, but I'm not the one apologizing this time. Get the fuck to his office, it's up the stairs." He spits, gesturing randomly towards a hallway, a metal stairway at the end. "You have to knock, and he'll probably be busy."

"Fuck that." I growl, shoving away from him. Do I really look like I need to go grovel at some half-naked obese slob with a few dozen whores around his neck? No.

"Jesse." My manager warns in that impatient father-like voice. I keep walking, and so he grabs a handful of my hair and pulls me back towards him, nearly yanking it out of my scalp and making my neck snap. I don't make a sound…too used to pain to really acknowledge it anymore. He seems moderately surprised by this when I turn back toward him, nonchalantly.

"I really, honestly, do not think it's going to accomplish anything. The guy probably wants something from me, which I won't give. The whole water-bottle thing is obviously the worst excuse I've ever heard for a blow job."

(What comes next are crystal structures, not part of the piece)
********
Record 1
A plane-wave DFT calculation with PBE was carried out for an optimized crystal structure of Na2NdHg3.

Cell lengths 5.3166, 5.3166, 6.4508 Å; angles 90.00, 90.00, 120.00 degrees
Space group P-3m1 (No. 164)
Inequivalent atoms, fractional coordinates:
Na  0.3333  0.6667  0.1460 (multiplicity 2)
Nd  0.0000  0.0000  0.5000 (multiplicity 1)
Hg  0.0000  0.0000  0.0000 (multiplicity 1)
Hg  0.3333  0.6667  0.6461 (multiplicity 2)

Calculated values
Energy relative to the lowest polymorph listed for this composition = 0.0 kJ per mole of atoms
Size of the total moment = 0.00 μB per formula unit
E_tot = -1.7078 eV/atom
ΔH_f (0 K) = -31.1 kJ/mol of atoms

Record 2
A plane-wave DFT calculation with PBE was carried out for an optimized crystal structure of Na2NdHg3.

Cell lengths 5.3045, 15.9458, 7.5744 Å; angles 90.00, 90.00, 90.00 degrees
Space group Cmmm (No. 65)
Inequivalent atoms, fractional coordinates:
Na  0.0000  0.0000  0.0000 (multiplicity 2)
Na  0.0000  0.0000  0.5000 (multiplicity 2)
Na  0.0000  0.3332  0.0000 (multiplicity 4)
Nd  0.0000  0.3368  0.5000 (multiplicity 4)
Hg  0.0000  0.1691  0.2539 (multiplicity 8)
Hg  0.0000  0.5000  0.2466 (multiplicity 4)

Calculated values
Energy relative to the lowest polymorph listed for this composition = 2.4 kJ per mole of atoms
Size of the total moment = 0.00 μB per formula unit
E_tot = -1.6827 eV/atom
ΔH_f (0 K) = -28.7 kJ/mol of atoms

Record 3
A plane-wave DFT calculation with PBE was carried out for an optimized crystal structure of NaNd3Hg5.

Cell lengths 9.2871, 9.2871, 6.5138 Å; angles 90.00, 90.00, 120.00 degrees
Space group P6_3/mcm (No. 193)
Inequivalent atoms, fractional coordinates:
Na  0.0000  0.0000  0.0000 (multiplicity 2)
Nd  0.0000  0.3624  0.2500 (multiplicity 6)
Hg  0.0000  0.3034  0.7500 (multiplicity 6)
Hg  0.3333  0.6667  0.0000 (multiplicity 4)

Calculated values
Size of the total moment = 0.00 μB per formula unit
E_tot = -2.3013 eV/atom
ΔH_f (0 K) = -38.4 kJ/mol of atoms

Record 4
A plane-wave DFT calculation with PBE was carried out for an optimized crystal structure of Na4NdHg5.

Cell lengths 3.7664, 3.7664, 18.6573 Å; angles 90.00, 90.00, 90.00 degrees
Space group P4/mmm (No. 123)
Inequivalent atoms, fractional coordinates:
Na  0.0000  0.0000  0.0972 (multiplicity 2)
Na  0.0000  0.0000  0.2958 (multiplicity 2)
Nd  0.0000  0.0000  0.5000 (multiplicity 1)
Hg  0.5000  0.5000  0.0000 (multiplicity 1)
Hg  0.5000  0.5000  0.1940 (multiplicity 2)
Hg  0.5000  0.5000  0.3968 (multiplicity 2)

Calculated values
Size of the total moment = 0.43 μB per formula unit
E_tot = -1.4328 eV/atom
ΔH_f (0 K) = -26.8 kJ/mol of atoms

Record 5
A plane-wave DFT calculation with PBE was carried out for an optimized crystal structure of NaNdHg3.

Cell lengths 7.3321, 7.3321, 5.7079 Å; angles 90.00, 90.00, 120.00 degrees
Space group P6_3/mmc (No. 194)
Inequivalent atoms, fractional coordinates:
Na  0.0000  0.0000  0.0000 (multiplicity 2)
Nd  0.3333  0.6667  0.2500 (multiplicity 2)
********
(So much for the crystal structures)

Kale glares at me, not amused. "You'll do it, or you won't be sleeping in a comfortable bed this evening. And you'll be missing the after party."

My nose scrunches, weighing the options. Since physical pain doesn't faze me, he usually punishes me by taking away things he knows I enjoy, without actually do my body any real harm. I've been forced to sleep in the closet twice before, and I certainly didn't sleep. It's a tiny storeroom next to the bathroom that is big enough for maybe someone to sit or stand, but certainly not lay. A bodyguard has to sit against the door all night so I can't get out. I almost cry those nights, but of course, my eyes never let forth any tears.

I glare at him, long and hard, hoping he'll let this one off. He just smiles back at me, covering up his impatience. The one man that has somehow managed to control me.

I sigh loudly and spin around, walking towards the stairs. I scale the steps, two at a time, day-dreaming about accidentally falling and tearing my face open on the metal grating. But I still have the encore in five minutes, and with a crowd this size it would be disastrous if my manager had to tell them there would be none.

The door reads Manager in stick-on metal letters. I have a sudden bitter taste in my mouth as I imagine the word rolling off my lips. So far, every manager I've met wants to use me and has bad taste in just about everything.

I knock on the door, simultaneously hoisting my jeans up. Kale didn't specify if he'd be busy with men or women, so better safe than sorry. This guy isn't getting anything from me.

When the door opens, it's a greasy, obese man like I imagined, but he is alone. And by the way he looks at me, it was a safe call with my pants. He's not angry or even upset. He looks…satisfied, which make me very uncomfortable.

Next to the article, the page also holds calculated crystals >
# 1
Compound: PrY5Er
Source: Alexandria via LeMat-Bulk
Functional: PBE
Structure: relaxed

E_form, eV/f.u.: 1.28

```
14
Lattice="-5.3073 -1.5388 3.6400 5.7003 -2.1723 1.3784 1.7964 10.9765 7.2596" Properties=species:S:1:pos:R:3 pbc="T T T"
Pr -3.6189 1.5647 4.6050
Y -0.6251 4.6127 7.0719
Y 4.9139 0.2136 4.0406
Y 0.3267 7.0148 9.4709
Y 2.8144 2.6526 5.2061
Er 0.0000 0.0000 0.0000
Y 1.8626 0.2505 2.8071
Y 3.6960 8.1361 8.8473
Pr 5.8082 5.7007 7.6731
Y 2.7479 5.7350 6.4457
Y -0.5586 1.5304 5.8323
Y -1.5067 -0.8707 3.4308
Er 0.8982 5.4882 3.6298
Y -2.7246 7.0518 8.2374
```



# 2
Compound: HfOsF3
Source: Alexandria via LeMat-Bulk
Functional: PBE
Structure: relaxed

Formation energy without anion corrections, meV per atom: -19

```
5
Lattice="4.2545 0.0000 0.0000 0.0000 4.2545 0.0000 0.0000 0.0000 4.2545" Properties=species:S:1:pos:R:3 pbc="T T T"
Os 0.0000 0.0000 0.0000
F 2.1273 0.0000 0.0000
Hf 2.1273 2.1273 2.1273
F 0.0000 2.1273 0.0000
F 0.0000 0.0000 2.1273
```



# 3
Compound: ReN2F2
Source: Alexandria via LeMat-Bulk
Functional: PBE
Structure: relaxed

Formation energy without anion corrections, meV per atom: 88

```
10
Lattice="-3.7746 -3.1523 -1.1609 0.7403 -2.4838 4.3377 -2.5476 2.3871 1.8016" Properties=species:S:1:pos:R:3 pbc="T T T"
N -0.8895 -3.5816 3.4877
N -2.1449 -2.0545 -0.3108
Re -1.5172 -2.8180 1.5884
F -2.1196 -0.2284 1.5888
N -0.0131 -1.2986 1.7022
N -3.0213 -4.3375 1.4747
F -3.9783 -1.9005 1.1760
F -1.6037 -1.3485 3.8025
Re 0.0000 0.0000 0.0000
F -3.4624 -3.0206 3.3897
```

=====

(1)
A relaxed YPdBr2 crystal, computed with PBE-GGA.

abc: 5.004 5.004 5.004
angles: 60.00 60.00 60.00
Fractional positions:
Pd 0.500 0.500 0.500
Y 0.000 0.000 0.000
Br 0.250 0.250 0.250
Br 0.750 0.750 0.750

N(E_F) in states/eV/cell: 8.4
Raw total energy in eV per cell: -17.85
SG: No. 225
Magnetization in μB per atom: 0.000
E above lowest polymorph in meV per atom: 24
E_form (uncorrected) in eV/atom: -0.71

(2)
A relaxed Y3PdBr3 crystal, computed with PBE-GGA.

abc: 6.839 6.839 11.744
angles: 73.07 73.07 60.00
Fractional positions:
Br 0.107 0.437 0.678
Br 0.563 0.223 0.322
Br 0.893 0.563 0.322
Br 0.777 0.107 0.678
Br 0.223 0.893 0.322
Br 0.437 0.777 0.678
Y 0.285 0.615 0.149
Y 0.615 0.950 0.149
Y 0.950 0.285 0.149
Y 0.715 0.385 0.851
Y 0.385 0.050 0.851
Y 0.050 0.715 0.851
Pd 0.333 0.333 0.000
Pd 0.667 0.667 0.000

N(E_F) in states/eV/cell: 5.7
Raw total energy in eV per cell: -77.26
SG: No. 148
Magnetization in μB per atom: 0.000
E_form (uncorrected) in eV/atom: -1.29

(3)
A relaxed YPd2Br crystal, computed with PBE-GGA.

abc: 4.888 4.888 4.888
angles: 60.00 60.00 60.00
Fractional positions:
Pd 0.750 0.750 0.750
Pd 0.250 0.250 0.250
Br 0.000 0.000 0.000
Y 0.500 0.500 0.500

N(E_F) in states/eV/cell: 2.8
Raw total energy in eV per cell: -19.97
SG: No. 225
Magnetization in μB per atom: 0.000
E above lowest polymorph in meV per atom: 100
E_form (uncorrected) in eV/atom: -0.36

(4)
A relaxed YPdBr6 crystal, computed with PBE-GGA.

abc: 6.725 6.986 7.173

"Ah, I'm glad you came. Come in." He says, his voice laced with the affects of two or three packs of cigarettes a day. The room's smell gave that away long before his voice did though.

"I don't wanna hang out with you. I'm just here to say my sorry and get the hell done with it." I say loudly, as if he was mentally challenged.

"Oh…I thought you might be interested to see this." He says, flashing me a picture.

Attached: records of crystals.
This record from Alexandria via LeMat-Bulk describes crystalline Rb2Ga2Pb at its relaxed geometry. The functional is PBE.

## Properties
energy of formation	0.28	eV per atom
total moment	0.000	μB per formula unit
ρ	4.85	g/cm3

Cell lengths 4.8425, 4.8425, 8.2932 Å; angles 73.02, 73.02, 90.00 degrees
With the nearest neighbours (Å) after each atom.
Positions (direct):
Rb 0.7500 0.2500 0.5000  4 Rb 3.42, 4 Ga 3.50
Rb 0.2500 0.7500 0.5000  4 Rb 3.42, 4 Ga 3.50
Pb 0.0000 0.0000 0.0000  8 Ga 3.65
Ga 0.4171 0.4171 0.1657  1 Ga 2.50
Ga 0.5829 0.5829 0.8343  1 Ga 2.50

---

This record from Alexandria via LeMat-Bulk describes crystalline Pr5Nd12In2 at its relaxed geometry. The functional is PBE.

## Properties
energy of formation	-0.03	eV per atom
total moment	0.000	μB per formula unit
ρ	6.76	g/cm3

Cell lengths 9.4528, 9.2212, 8.7618 Å; angles 93.24, 90.00, 120.83 degrees
With the nearest neighbours (Å) after each atom.
Positions (direct):
Nd 0.8203 0.2524 0.6740  5 Nd 3.41-3.67, 4 Pr 3.48-3.78, 1 In 3.60
Nd 0.9591 0.2878 0.2370  1 In 3.26, 3 Nd 3.41-3.64
Nd 0.3287 0.2878 0.2370  1 In 3.26, 3 Nd 3.41-3.64
Nd 0.1797 0.7476 0.3260  5 Nd 3.41-3.67, 4 Pr 3.48-3.78, 1 In 3.60
Nd 0.4450 0.8899 0.6740  2 In 3.36, 7 Nd 3.41-3.67, 2 Pr 3.41-3.60
Nd 0.9230 0.8460 0.1142  5 Nd 3.25-3.64, 2 In 3.48, 1 Pr 3.52
Nd 0.6713 0.7122 0.7630  1 In 3.26, 3 Nd 3.41-3.64
Nd 0.4321 0.2524 0.6740  5 Nd 3.41-3.67, 4 Pr 3.48-3.78, 1 In 3.60
Nd 0.5679 0.7476 0.3260  5 Nd 3.41-3.67, 4 Pr 3.48-3.78, 1 In 3.60
Nd 0.5550 0.1101 0.3260  2 In 3.36, 7 Nd 3.41-3.67, 2 Pr 3.41-3.60
Nd 0.0409 0.7122 0.7630  1 In 3.26, 3 Nd 3.41-3.64
Nd 0.0770 0.1540 0.8858  5 Nd 3.25-3.64, 2 In 3.48, 1 Pr 3.52
Pr 0.0000 0.0000 0.5000  10 Nd 3.52-3.78, 2 Pr 3.70
Pr 0.3072 0.6145 0.9844  2 In 3.46, 6 Nd 3.60-3.69, 1 Pr 3.67
Pr 0.6928 0.3856 0.0156  2 In 3.46, 6 Nd 3.60-3.69, 1 Pr 3.67
Pr 0.7675 0.5350 0.4216  8 Nd 3.41-3.77, 2 Pr 3.67-3.70
Pr 0.2325 0.4650 0.5784  8 Nd 3.41-3.77, 2 Pr 3.67-3.70
In 0.6744 0.0000 0.0000  8 Nd 3.26-3.60, 1 In 3.30, 2 Pr 3.46
In 0.3256 0.0000 0.0000  8 Nd 3.26-3.60, 1 In 3.30, 2 Pr 3.46

---

This record from Alexandria via LeMat-Bulk describes crystalline Ir2Se at its relaxed geometry. The functional is PBE.

## Properties
formation energy without anion corrections	46	kJ per mole of atoms
total moment	0.000	μB per formula unit
ρ	15.38	g/cm3

Cell lengths 4.1359, 4.1359, 4.1359 Å; angles 60.00, 60.00, 60.00 degrees
With the nearest neighbours (Å) after each atom.
Positions (direct):
Se 0.0000 0.0000 0.0000  8 Ir 2.53
Ir 0.7500 0.7500 0.7500  4 Se 2.53
Ir 0.2500 0.2500 0.2500  4 Se 2.53

---

This record from Alexandria via LeMat-Bulk describes crystalline Cs2MoPbCl6 at its relaxed geometry. The functional is PBE.

## Properties
formation energy without anion corrections	-121	kJ per mole of atoms
total moment	4.000	μB per formula unit
ρ	3.96	g/cm3

Cell lengths 7.7335, 7.7335, 7.7427 Å; angles 60.04, 60.04, 90.00 degrees
With the nearest neighbours (Å) after each atom.
Here the text continues.

My eyes spark with indignation, and I fix him with a glare. "Trust me, I've seen enough of that from the audien…" My voice trails off as my eyes focus on my deceased best friend in the center of the picture, taken on the day he died…only…at night.

"What the fuck is this?" I scream, tearing the picture out of his hands. I cup it in my hands, feeling tears prick my eyes for the first time in nearly three years.

Was Sadin alive?


ME: I'm kinda 'eugh' with this chapter, partly because I don't think people know Jesse enough to understand the attachment he must have once had to Sadin, who will be explained in the next few chapters, obviously. The next few chapters are the reason I've taken such a long time to update this, despite their small chapter size. After that I think things will be easier. Here comes the plot…:

Oh, and thanks for the reviews.